=====
No. 1
C16H32Cl24N2O4P | ωB97M-V with the def2-TZVPD basis set

Geometry (Å):
Cl 1.39627 -2.96502 -3.13535
Cl -2.85411 2.39239 -2.19563
Cl -2.14951 -6.24060 -2.44741
Cl -3.53055 1.60817 1.77198
Cl 1.71029 -4.37305 6.18740
Cl -0.67372 6.78316 -5.33614
Cl -0.96161 1.38360 3.19420
Cl -3.69193 7.64807 -6.27099
Cl 0.86441 -6.20249 4.07667
Cl -3.92827 3.93443 -4.43150
Cl 5.03755 2.63292 0.02140
Cl -2.71106 4.10005 0.48987
Cl -2.56300 -3.65110 -1.16609
Cl 3.82964 -6.70572 -1.44690
Cl -0.04940 8.00009 -7.91537
Cl -4.30285 2.86669 5.64001
Cl -4.68939 6.06133 -8.51093
Cl 1.45223 1.15732 5.41698
Cl -0.69530 2.27164 7.05766
Cl -6.01253 4.76364 4.21726
Cl 2.28783 -6.79606 1.03409
Cl 0.55005 -4.74550 -5.29524
Cl 3.09177 3.81413 -1.81345
Cl 0.98848 0.85351 1.08502
P -0.16604 -3.46510 0.44756
O 3.68817 -1.68730 2.62325
O 4.19206 -3.83482 2.54488
O -0.96606 -4.85571 1.05306
O 2.01291 -0.69365 -1.05810
N 1.51831 -3.65270 0.87479
N -0.90404 -2.12980 1.29122
C -3.47198 6.18291 -7.23299
C -0.38023 1.85558 1.59140
C 2.06681 -1.30103 -0.00541
C 0.92003 2.53490 6.37890
C 1.69368 -4.49496 -3.96430
C 0.37054 7.91660 -6.19938
C -2.36022 -4.50166 -2.69735
C 2.03995 -5.89938 5.36019
C -2.54617 3.68573 -3.35267
C 2.28451 -2.85051 -0.10817
C -4.99618 4.49035 5.64051
C 3.33685 -2.91846 2.51405
C -3.95483 3.29399 1.45659
C 3.89144 -6.62259 0.32441
C 4.04727 2.37477 -1.41989
C 1.83131 -3.29279 2.28188
H -5.60360 4.61291 6.53248
H 1.96390 -0.73757 0.98911
H 4.29972 -5.65712 0.62065
H 3.03391 -5.85476 4.92111
H -1.68257 -1.73041 0.77187
H 3.37530 -3.12039 -0.14321
H -0.06453 2.89493 1.62330
H 4.52701 -7.42304 0.69121
H 1.58541 -5.30803 -3.25056
H 3.37066 1.54172 -1.23853
H 4.69915 2.14674 -2.25793
H -1.67730 3.42348 -3.94971
H 2.70284 -4.48741 -4.36580
H 1.63647 -4.19807 2.91968
H 1.21498 -2.46776 2.71672
H 0.89422 3.41815 5.74656
H 0.25550 8.90352 -5.76074
H 1.40109 7.58707 -6.10505
H 1.62180 2.68440 7.19446
H -3.55806 5.32025 -6.57902
H 1.88642 -3.13978 -1.12617
H -4.89621 3.32522 0.91491
H -0.22936 -1.41535 1.56765
H -2.35657 4.60719 -2.80791
H -3.24171 -4.33879 -3.31049
H -4.05602 3.81443 2.40360
H -1.48023 -4.11028 -3.20163
H -0.26077 -5.53301 1.00699
H -1.18515 1.73742 0.87476
H 1.98841 -6.70938 6.08217
H -4.18897 5.21725 5.64028
H -2.48550 6.20583 -7.68746

Force components x, y, z for each atom (eV/Å):
-0.1 0.0 -1.1
0.0 -0.2 -0.4
0.0 0.0 -0.1
-1.1 0.1 -0.3
0.1 0.0 0.1
0.3 -0.1 0.2
0.5 0.1 0.2
-0.2 0.1 0.0
-0.2 -0.3 0.3
0.0 0.0 0.0
0.0 0.0 -0.1
0.0 0.5 0.3
-1.2 0.1 -0.6
0.1 0.0 -0.2
0.0 0.1 0.0
0.0 0.1 0.0
0.0 -0.1 0.0
0.3 0.1 0.2
-0.1 0.1 0.1
-0.1 0.1 0.0
0.1 -0.3 0.0
0.0 -0.1 -0.1
-0.1 0.0 -0.1
-1.3 1.8 0.6
0.2 -0.7 -2.0
-1.8 -1.3 -0.3
-0.9 -1.0 -0.2
1.6 1.0 0.6
0.1 0.2 0.4
-0.9 1.7 1.2
0.6 -0.8 0.6
0.2 -0.1 0.0
0.3 0.3 0.0
1.0 -1.2 -0.6
0.3 0.0 -0.1
0.1 0.0 0.2
0.1 0.1 0.1
0.1 0.2 -0.1
0.3 -0.1 0.0
0.3 0.0 0.1
-0.4 -0.1 -0.7
0.1 0.0 0.2
2.0 1.8 0.0
-0.2 -0.1 0.0
0.1 0.3 0.3
0.0 -0.3 0.1
0.6 -0.6 1.6
0.0 -0.1 -0.1
0.9 -2.2 -1.2
-0.2 0.0 0.0
-0.1 0.2 -0.1
0.4 -0.1 0.0
-0.9 0.4 0.6
0.0 -0.1 0.1
-0.1 0.0 -0.1
-0.1 0.1 0.0
0.0 0.1 0.1
0.0 0.2 0.1
-0.1 -0.1 0.0
-0.1 0.1 -0.1
0.1 1.0 -0.8
0.3 -0.4 -0.6
-0.1 -0.1 0.0
-0.1 -0.1 -0.1
-0.1 -0.1 -0.1
-0.1 -0.1 0.0
-0.1 0.1 -0.1
0.6 0.5 1.8
0.1 0.0 -0.1
-0.4 -0.2 0.1
-0.1 -0.1 0.0
0.0 -0.1 0.1
0.1 -0.1 0.0
0.0 -0.1 0.2
-0.5 0.2 0.1
0.1 -0.1 0.0
-0.1 0.1 0.0
0.0 -0.1 -0.1
-0.1 0.1 0.0

Summary:
Kohn-Sham gap   6.32 eV
DFT total energy   -12425.26436 Eh
Highest occupied orbital energy   -4.74 eV
Total charge   -1


No. 2
C16H32ClNiO12 | ωB97M-V with the def2-TZVPD basis set

Geometry (Å):
Ni -3.63399 12.74473 21.95467
Cl -2.16606 14.48411 21.80848
O 1.92155 14.84680 20.93999
O -4.58119 14.27048 18.29383
O 3.39646 13.22686 20.55845
O -4.12615 21.29980 20.65094
O -2.91255 21.02231 18.78201
O -5.38204 15.01976 24.90158
O 2.76781 13.74200 22.64617
O -4.66743 13.46150 20.39125
O -4.98254 13.59818 23.20904
O -6.47008 14.15927 19.26708
O -5.88876 12.98938 25.18590
O -3.67715 19.27671 19.77426
C -4.56863 16.04353 24.27628
=====

Next, duplicate everything further up character by character.

No. 1
C16H32Cl24N2O4P | ωB97M-V with the def2-TZVPD basis set

Geometry (Å):
Cl 1.39627 -2.96502 -3.13535
Cl -2.85411 2.39239 -2.19563
Cl -2.14951 -6.24060 -2.44741
Cl -3.53055 1.60817 1.77198
Cl 1.71029 -4.37305 6.18740
Cl -0.67372 6.78316 -5.33614
Cl -0.96161 1.38360 3.19420
Cl -3.69193 7.64807 -6.27099
Cl 0.86441 -6.20249 4.07667
Cl -3.92827 3.93443 -4.43150
Cl 5.03755 2.63292 0.02140
Cl -2.71106 4.10005 0.48987
Cl -2.56300 -3.65110 -1.16609
Cl 3.82964 -6.70572 -1.44690
Cl -0.04940 8.00009 -7.91537
Cl -4.30285 2.86669 5.64001
Cl -4.68939 6.06133 -8.51093
Cl 1.45223 1.15732 5.41698
Cl -0.69530 2.27164 7.05766
Cl -6.01253 4.76364 4.21726
Cl 2.28783 -6.79606 1.03409
Cl 0.55005 -4.74550 -5.29524
Cl 3.09177 3.81413 -1.81345
Cl 0.98848 0.85351 1.08502
P -0.16604 -3.46510 0.44756
O 3.68817 -1.68730 2.62325
O 4.19206 -3.83482 2.54488
O -0.96606 -4.85571 1.05306
O 2.01291 -0.69365 -1.05810
N 1.51831 -3.65270 0.87479
N -0.90404 -2.12980 1.29122
C -3.47198 6.18291 -7.23299
C -0.38023 1.85558 1.59140
C 2.06681 -1.30103 -0.00541
C 0.92003 2.53490 6.37890
C 1.69368 -4.49496 -3.96430
C 0.37054 7.91660 -6.19938
C -2.36022 -4.50166 -2.69735
C 2.03995 -5.89938 5.36019
C -2.54617 3.68573 -3.35267
C 2.28451 -2.85051 -0.10817
C -4.99618 4.49035 5.64051
C 3.33685 -2.91846 2.51405
C -3.95483 3.29399 1.45659
C 3.89144 -6.62259 0.32441
C 4.04727 2.37477 -1.41989
C 1.83131 -3.29279 2.28188
H -5.60360 4.61291 6.53248
H 1.96390 -0.73757 0.98911
H 4.29972 -5.65712 0.62065
H 3.03391 -5.85476 4.92111
H -1.68257 -1.73041 0.77187
H 3.37530 -3.12039 -0.14321
H -0.06453 2.89493 1.62330
H 4.52701 -7.42304 0.69121
H 1.58541 -5.30803 -3.25056
H 3.37066 1.54172 -1.23853
H 4.69915 2.14674 -2.25793
H -1.67730 3.42348 -3.94971
H 2.70284 -4.48741 -4.36580
H 1.63647 -4.19807 2.91968
H 1.21498 -2.46776 2.71672
H 0.89422 3.41815 5.74656
H 0.25550 8.90352 -5.76074
H 1.40109 7.58707 -6.10505
H 1.62180 2.68440 7.19446
H -3.55806 5.32025 -6.57902
H 1.88642 -3.13978 -1.12617
H -4.89621 3.32522 0.91491
H -0.22936 -1.41535 1.56765
H -2.35657 4.60719 -2.80791
H -3.24171 -4.33879 -3.31049
H -4.05602 3.81443 2.40360
H -1.48023 -4.11028 -3.20163
H -0.26077 -5.53301 1.00699
H -1.18515 1.73742 0.87476
H 1.98841 -6.70938 6.08217
H -4.18897 5.21725 5.64028
H -2.48550 6.20583 -7.68746

Force components x, y, z for each atom (eV/Å):
-0.1 0.0 -1.1
0.0 -0.2 -0.4
0.0 0.0 -0.1
-1.1 0.1 -0.3
0.1 0.0 0.1
0.3 -0.1 0.2
0.5 0.1 0.2
-0.2 0.1 0.0
-0.2 -0.3 0.3
0.0 0.0 0.0
0.0 0.0 -0.1
0.0 0.5 0.3
-1.2 0.1 -0.6
0.1 0.0 -0.2
0.0 0.1 0.0
0.0 0.1 0.0
0.0 -0.1 0.0
0.3 0.1 0.2
-0.1 0.1 0.1
-0.1 0.1 0.0
0.1 -0.3 0.0
0.0 -0.1 -0.1
-0.1 0.0 -0.1
-1.3 1.8 0.6
0.2 -0.7 -2.0
-1.8 -1.3 -0.3
-0.9 -1.0 -0.2
1.6 1.0 0.6
0.1 0.2 0.4
-0.9 1.7 1.2
0.6 -0.8 0.6
0.2 -0.1 0.0
0.3 0.3 0.0
1.0 -1.2 -0.6
0.3 0.0 -0.1
0.1 0.0 0.2
0.1 0.1 0.1
0.1 0.2 -0.1
0.3 -0.1 0.0
0.3 0.0 0.1
-0.4 -0.1 -0.7
0.1 0.0 0.2
2.0 1.8 0.0
-0.2 -0.1 0.0
0.1 0.3 0.3
0.0 -0.3 0.1
0.6 -0.6 1.6
0.0 -0.1 -0.1
0.9 -2.2 -1.2
-0.2 0.0 0.0
-0.1 0.2 -0.1
0.4 -0.1 0.0
-0.9 0.4 0.6
0.0 -0.1 0.1
-0.1 0.0 -0.1
-0.1 0.1 0.0
0.0 0.1 0.1
0.0 0.2 0.1
-0.1 -0.1 0.0
-0.1 0.1 -0.1
0.1 1.0 -0.8
0.3 -0.4 -0.6
-0.1 -0.1 0.0
-0.1 -0.1 -0.1
-0.1 -0.1 -0.1
-0.1 -0.1 0.0
-0.1 0.1 -0.1
0.6 0.5 1.8
0.1 0.0 -0.1
-0.4 -0.2 0.1
-0.1 -0.1 0.0
0.0 -0.1 0.1
0.1 -0.1 0.0
0.0 -0.1 0.2
-0.5 0.2 0.1
0.1 -0.1 0.0
-0.1 0.1 0.0
0.0 -0.1 -0.1
-0.1 0.1 0.0

Summary:
Kohn-Sham gap   6.32 eV
DFT total energy   -12425.26436 Eh
Highest occupied orbital energy   -4.74 eV
Total charge   -1


No. 2
C16H32ClNiO12 | ωB97M-V with the def2-TZVPD basis set

Geometry (Å):
Ni -3.63399 12.74473 21.95467
Cl -2.16606 14.48411 21.80848
O 1.92155 14.84680 20.93999
O -4.58119 14.27048 18.29383
O 3.39646 13.22686 20.55845
O -4.12615 21.29980 20.65094
O -2.91255 21.02231 18.78201
O -5.38204 15.01976 24.90158
O 2.76781 13.74200 22.64617
O -4.66743 13.46150 20.39125
O -4.98254 13.59818 23.20904
O -6.47008 14.15927 19.26708
O -5.88876 12.98938 25.18590
O -3.67715 19.27671 19.77426
C -4.56863 16.04353 24.27628